Listing >
'''
For NdFeAs2O8, a structure optimized by DFT (GGA+U) gives the theoretical X-ray diffraction stick pattern in this record (a wavelength of 1.5418 Å).

Principal peaks in the range 10° ≤ 2θ ≤ 90°, by angle:
- d 3.570, 24.94 deg, rel. 100
- d 2.655, 33.76 deg, rel. 63
- d 2.524, 35.56 deg, rel. 20
- d 1.829, 49.85 deg, rel. 58
- d 1.785, 51.18 deg, rel. 15
- d 1.597, 57.75 deg, rel. 13
- d 1.481, 62.72 deg, rel. 18
- d 1.278, 74.23 deg, rel. 12

```
NdFeAs2O8
1.0
-3.5699 3.5699 3.1214
3.5699 -3.5699 3.1214
3.5699 3.5699 -3.1214
Nd Fe As O
1 1 2 8
Cartesian
0.0000 0.0000 0.0000
3.5699 0.0000 1.5607
0.0000 0.0000 3.1214
0.0000 3.5699 1.5607
2.2195 3.5699 -1.0826
1.3504 0.0000 2.0388
0.0000 2.3360 0.3649
3.5699 2.2195 1.0826
0.0000 4.8038 0.3649
0.0000 1.3504 4.2040
-1.2339 3.5699 2.7565
1.2339 3.5699 2.7565
```


No. 1
Diffraction record for Cs4TiTe4. The X-ray powder pattern is simulated, not measured: it uses a GGA-PBE-relaxed structure and Cu Kα (weighted mean of Kα1 and Kα2).

Structural model:
```
data_Cs4TiTe4
_chemical_formula_sum 'Cs8 Ti2 Te8'
_cell_length_a 11.1245
_cell_length_b 11.1245
_cell_length_c 7.6363
_cell_angle_alpha 90.00
_cell_angle_beta 90.00
_cell_angle_gamma 90.00
_symmetry_space_group_name_H-M 'I 4/m'
_symmetry_Int_Tables_number 87
_symmetry_space_group_name_Hall '-I 4'
loop_
_atom_site_label
_atom_site_fract_x
_atom_site_fract_y
_atom_site_fract_z
Cs1 0.0747 0.7079 0.0000
Ti1 0.0000 0.0000 0.5000
Te1 0.0774 0.7674 0.5000
```

Main lines, in order of rising 2θ (2θ = 10–90°):
- 2θ 22.61, I 32.5
- 2θ 23.30, I 71.6
- 2θ 25.32, I 100.0
- 2θ 32.69, I 25.3
- 2θ 34.67, I 87.4
- 2θ 54.73, I 32.2

No. 2
Diffraction record for AcNi4H6Au. The X-ray powder pattern is simulated, not measured: it uses a GGA-PBE-relaxed structure and Cu Kα (weighted mean of Kα1 and Kα2).

Structural model:
```
data_AcNi4H6Au
_chemical_formula_sum 'Ac1 Ni4 H6 Au1'
_cell_length_a 4.4732
_cell_length_b 4.4732
_cell_length_c 6.8647
_cell_angle_alpha 90.00
_cell_angle_beta 90.00
_cell_angle_gamma 120.00
_symmetry_space_group_name_H-M 'P 6/m m m'
_symmetry_Int_Tables_number 191
_symmetry_space_group_name_Hall '-P 6 2'
loop_
_atom_site_label
_atom_site_fract_x
_atom_site_fract_y
_atom_site_fract_z
Ac1 0.0000 0.0000 0.0000
Ni1 0.3333 0.6667 0.3229
H1 0.0000 0.5000 0.1850
Au1 0.0000 0.0000 0.5000
```

Main lines, in order of rising 2θ (2θ = 10–90°):
- 2θ 22.96, I 44.8
- 2θ 34.92, I 100.0
- 2θ 40.33, I 61.7
- 2θ 54.39, I 27.8
- 2θ 58.85, I 18.5
- 2θ 69.84, I 26.8

No. 3
Diffraction record for AlCd3Mo. The X-ray powder pattern is simulated, not measured: it uses a GGA-PBE-relaxed structure and Cu Kα (weighted mean of Kα1 and Kα2).

Structural model:
```
data_AlCd3Mo
_chemical_formula_sum 'Al1 Cd3 Mo1'
_cell_length_a 5.3894
_cell_length_b 5.3894
_cell_length_c 5.3894
_cell_angle_alpha 90.00
_cell_angle_beta 90.00
_cell_angle_gamma 90.00
_symmetry_space_group_name_H-M 'P m -3 m'
_symmetry_Int_Tables_number 221
_symmetry_space_group_name_Hall '-P 4 2 3'
loop_
_atom_site_label
_atom_site_fract_x
_atom_site_fract_y
_atom_site_fract_z
Al1 0.0000 0.0000 0.0000
Cd1 0.0000 0.5000 0.5000
Mo1 0.5000 0.5000 0.5000
```

Main lines, in order of rising 2θ (2θ = 10–90°):
- 2θ 16.45, I 87.4
- 2θ 28.69, I 66.9
- 2θ 33.25, I 100.0
- 2θ 37.31, I 45.5
- 2θ 47.73, I 70.2
- 2θ 79.54, I 30.0

No. 4
Diffraction record for NaBi3Se4. The X-ray powder pattern is simulated, not measured: it uses a GGA-PBE-relaxed structure and Cu Kα (weighted mean of Kα1 and Kα2).

Structural model:
```
data_NaBi3Se4
_chemical_formula_sum 'Na2 Bi6 Se8'
_cell_length_a 6.0348
_cell_length_b 12.0747
_cell_length_c 6.2352
_cell_angle_alpha 90.00
_cell_angle_beta 90.00
_cell_angle_gamma 90.00
_symmetry_space_group_name_H-M 'P m m n'
_symmetry_Int_Tables_number 59
loop_
_symmetry_equiv_pos_as_xyz
'x,y,z'
'-x,-y,-z'
'-x+1/2,-y+1/2,z'
'x+1/2,y+1/2,-z'
'x+1/2,-y,-z'
'-x+1/2,y,z'
'-x,y+1/2,-z'
'x,-y+1/2,z'
loop_
_atom_site_label
_atom_site_fract_x
_atom_site_fract_y
_atom_site_fract_z
'''

Wanted >
Next, repeat every line further above that contains the word "deg".

Completed >
- d 3.570, 24.94 deg, rel. 100
- d 2.655, 33.76 deg, rel. 63
- d 2.524, 35.56 deg, rel. 20
- d 1.829, 49.85 deg, rel. 58
- d 1.785, 51.18 deg, rel. 15
- d 1.597, 57.75 deg, rel. 13
- d 1.481, 62.72 deg, rel. 18
- d 1.278, 74.23 deg, rel. 12